(Assignment)
It remains to search the calculation results underneath for the word "Alexandria" and set down each line that has it.
(Source)
Starting from the GGA+U geometry in Alexandria, the powder diffractogram of Rb2PmFe2O6 was calculated for Cu Kα, 1.54184 Å.

The 10 most intense peaks (2θ from 10° to 90°), low angle first:
2θ 19.16, intensity 16, (0 1 2)
2θ 25.62, intensity 29, (1 0 4)
2θ 28.76, intensity 100, (1 1 0)
2θ 29.59, intensity 86, (0 1 5)
2θ 38.89, intensity 28, (0 2 4)
2θ 41.74, intensity 31, (2 0 5)
2θ 50.96, intensity 20, (3 0 0)
2θ 51.48, intensity 34, (1 2 5)
2θ 54.04, intensity 28, (1 1 9)
2θ 59.57, intensity 20, (2 2 0)

Cell and atoms:
a = 6.2080 Å, b = 6.2080 Å, c = 18.2381 Å
α = 90.00°, β = 90.00°, γ = 120.00°
Space group R-3m (No. 166, hexagonal axes)
Asymmetric unit:
Rb1 0.0000 0.0000 0.2152 [6 per cell]
Pm1 0.0000 0.0000 0.0000 [3 per cell]
Fe1 0.0000 0.0000 0.4258 [6 per cell]
O1 0.0059 0.5030 0.2526 [18 per cell]
(Written answer)
Starting from the GGA+U geometry in Alexandria, the powder diffractogram of Rb2PmFe2O6 was calculated for Cu Kα, 1.54184 Å.